Arthritis Treatment: The Four Types of Stem Cells That Could Be Used For Arthritis Treatment
There are four types of stem cells undergoing current study. They are embryonic SCs, allogeneic (donor) SCs, induced pluripotential adult SCs, and finally autologous SCs. Of these four, only two, donor SCs and autologous SCs have been used to treat arthritis so far.
However, this discussion would be incomplete without mentioning the other types as well.
Embryonic SCs (ESCs) are derived from embryos and are pluripotential, meaning they can easily differentiate into any body tissue.
Self-renewing cells were first extensively studied in mouse cancer models. These cells showed the ability to not only self-duplicate but to also differentiate into multiple types of tissue. Obviously, though, cells that are capable of self-duplication are also capable of becoming malignant.
Potential pitfalls associated with embryonic stem cells are the following:
– The ethical dilemma which has restricted the amount of government spending towards ESC research.
– The risk of malignancy associated with cells that have not completely differentiated yet and are as potent as ESCs.
[Between two parts of the text: records of molecules]
- - -
(1)
{
  "formula": "C15H30Cl6F6O12P",
  "method": "the ωB97M-V functional and the def2-TZVPD basis",
  "elements": ["P", "F", "F", "F", "F", "F", "F", "C", "O", "C", "O", "O", "C", "H", "H", "H", "H", "H", "H", "C", "O", "C", "O", "O", "C", "H", "H", "H", "H", "H", "H", "C", "O", "C", "O", "O", "C", "H", "H", "H", "H", "H", "H", "C", "O", "C", "O", "O", "C", "H", "H", "H", "H", "H", "H", "C", "Cl", "Cl", "H", "H", "C", "Cl", "Cl", "H", "H", "C", "Cl", "Cl", "H", "H"],
  "xyz": [[17.594, 9.467, -21.695], [16.923, 9.504, -20.167], [17.990, 7.911, -21.244], [16.141, 8.975, -22.337], [18.430, 9.460, -23.143], [17.072, 11.030, -21.870], [18.940, 10.024, -20.837], [6.671, 11.749, -19.481], [7.820, 11.313, -20.272], [9.018, 11.044, -19.727], [9.241, 10.880, -18.496], [9.893, 10.976, -20.720], [11.331, 10.920, -20.556], [6.228, 10.810, -19.148], [5.977, 12.378, -20.038], [7.049, 12.326, -18.637], [11.855, 10.862, -21.509], [11.740, 10.083, -19.990], [11.715, 11.860, -20.158], [12.789, 12.478, -15.748], [14.161, 12.663, -16.178], [15.114, 11.822, -15.965], [15.089, 10.893, -15.103], [16.316, 12.189, -16.590], [16.484, 13.225, -17.502], [12.507, 11.428, -15.824], [12.198, 13.119, -16.403], [12.620, 12.934, -14.773], [15.980, 13.071, -18.457], [17.564, 13.349, -17.581], [16.030, 14.097, -17.033], [14.427, 5.134, -17.616], [14.573, 5.992, -16.508], [13.787, 5.897, -15.399], [14.001, 6.540, -14.351], [12.679, 5.100, -15.635], [11.809, 4.869, -14.546], [13.491, 5.309, -18.146], [14.328, 4.098, -17.293], [15.275, 5.269, -18.287], [10.927, 4.378, -14.958], [11.535, 5.793, -14.038], [12.318, 4.294, -13.771], [19.973, 7.536, -17.228], [20.446, 8.764, -16.767], [19.946, 9.488, -15.717], [18.948, 9.096, -15.104], [20.570, 10.663, -15.636], [21.523, 11.086, -16.655], [20.511, 7.270, -18.138], [18.893, 7.646, -17.327], [20.036, 6.727, -16.499], [20.877, 11.364, -17.488], [22.280, 10.349, -16.925], [21.963, 12.035, -16.350], [15.750, 13.580, -25.118], [13.951, 13.609, -25.001], [16.172, 14.630, -26.520], [16.076, 14.036, -24.183], [16.013, 12.538, -25.303], [22.703, 6.710, -21.977], [21.743, 6.674, -23.434], [24.367, 7.167, -22.380], [22.367, 7.468, -21.269], [22.734, 5.749, -21.463], [16.553, 5.085, -24.733], [17.568, 3.904, -23.788], [15.555, 4.292, -25.978], [15.947, 5.607, -23.993], [17.250, 5.791, -25.185]],
  "e_lumo_ev": 2.09,
  "mol_weight_g_mol": 760.1,
  "homo_energy_ev": -8.0844,
  "total_energy_ev": -141345.333,
  "spin_multiplicity": 1,
  "e_above_lowest_kj_mol": 257.5,
  "charge": -1,
  "fmax_ev_per_a": 5.4
}



(2)
{
  "formula": "C3H6N2",
  "method": "the ωB97M-V functional and the def2-TZVPD basis",
  "elements": ["H", "N", "C", "N", "C", "C", "H", "H", "H", "H", "H"],
  "xyz": [[-2.260, 0.696, -0.740], [-2.106, 0.082, 0.066], [-0.890, -0.268, 0.174], [0.192, 0.109, -0.559], [1.364, -0.692, -0.016], [1.238, 0.781, 0.258], [-0.680, -1.021, 0.960], [1.952, -1.058, -0.853], [1.106, -1.471, 0.631], [1.125, 1.101, 1.288], [1.887, 1.493, -0.336]],
- - -
– The theoretical problem with a graft versus host reaction. While immunosuppressive drugs can be used to mitigate the effects of this, these drugs are not without significant side effects.
The second type of SC is the induced pluripotential SC. In 2006, Japanese researchers used retroviruses to insert genes into mouse cells. They were able to take these adult mouse cells and cause them to revert back to a pluripotential embryonic state.
The identical technique was then applied to human skin cells. These “adult turned baby cells” are known as induced pluripotential stem cells (IPSCs). Therefore, it is technically possible to take any adult cell and make it function like an embryonic stem cell.
As one might expect, the primary concern is malignancy. How can these cells get controlled off once they start to multiply?
Inserted here: molecular data:
=====
Below is 6 unconnected molecules or ions with the total composition C38H81BN3O7, with properties calculated with wB97M-V/def2-TZVPD.

The geometry in XYZ format:
```
130
Properties=species:S:1:pos:R:3:forces:R:3:lowdin_charge:R:1
O 1.19106 3.35822 2.51209 -0.004 -0.334 -0.158 -0.156
O -2.25551 2.30576 -0.35225 0.402 1.607 -2.733 0.055
O -1.91999 4.47704 -1.58023 0.801 -1.852 0.749 0.145
O -5.11699 1.21524 4.39068 0.101 -0.214 0.084 -0.158
O -4.79417 -4.44579 4.82581 0.041 -0.228 0.138 -0.158
O -0.28028 -5.86917 -3.68009 -0.181 -0.118 -0.174 -0.168
O 3.78837 6.79857 0.41443 -0.230 0.097 -0.132 -0.150
N 0.99428 3.75830 -0.97922 -0.869 -0.935 -0.915 0.180
N -0.57541 2.42551 -2.15313 0.889 0.677 0.119 0.297
N 1.74337 2.20198 -2.73453 -2.879 -0.513 1.382 0.086
C -3.63228 2.66162 -0.06034 -1.785 -0.766 1.603 -0.205
C -4.25390 -6.11962 6.41364 -0.046 0.041 0.378 -0.175
C -4.57588 -0.46137 5.97558 -0.065 0.040 0.356 -0.172
C 1.73740 -2.33841 -1.80088 -0.987 -0.151 -0.319 -0.233
C 2.79571 8.53381 -0.85789 -0.121 -0.051 -0.300 -0.176
C 0.67798 2.78753 -1.98273 1.629 -0.505 -0.491 -0.283
C -1.43759 -6.88631 -5.48127 0.172 -0.201 -0.274 -0.174
C -5.12101 -6.73737 5.33505 0.062 -0.269 -0.244 -0.176
C -2.10817 -7.29234 -4.18441 -0.344 0.073 0.135 -0.174
C 3.82127 2.18439 -1.18405 0.844 -0.183 -0.070 -0.175
C 1.27826 -3.08486 -0.48758 1.456 0.727 -0.108 -0.186
C -4.08562 0.80495 5.29823 0.119 0.146 -0.175 -0.209
C 5.02238 1.16015 -0.91919 -0.860 0.367 0.606 -0.179
C 4.69923 0.35280 0.42070 0.041 -0.993 -0.546 -0.176
C 2.53035 7.13032 1.01660 0.018 -0.230 0.016 -0.210
C 4.07380 7.74982 -0.62134 0.287 0.055 0.125 -0.205
C 2.20305 2.95550 3.45074 0.307 0.129 -0.109 -0.192
C -3.76364 -4.85379 5.73561 0.165 0.122 -0.221 -0.206
C 0.54597 -0.80875 -5.04017 0.366 -0.337 -1.146 -0.209
C 0.72288 -2.50027 -3.01250 1.381 -0.327 0.023 -0.178
C 4.27707 -1.16632 0.10528 -0.309 0.639 -0.035 -0.194
C -6.06891 0.14888 4.25861 -0.234 0.186 0.075 -0.200
C -1.03267 -6.97625 -3.16193 0.249 -0.121 0.172 -0.200
C -3.73343 2.96049 1.48673 1.054 -0.551 -0.337 -0.050
C 2.62836 0.71126 -5.72388 -0.642 1.020 -0.809 -0.245
C 1.70101 1.69121 4.12188 -0.089 0.078 0.353 -0.160
C -5.74497 -5.51189 4.69352 -0.216 0.209 0.003 -0.203
C 1.45109 -1.88109 -4.30144 -0.834 0.579 0.344 -0.189
C 2.46732 -3.05162 0.57924 -0.984 0.007 0.569 -0.200
C 1.32157 -0.05291 -6.21047 0.137 -0.268 0.659 -0.208
C 2.42989 2.26829 -6.04479 0.674 -0.659 0.801 -0.129
C 2.15565 8.51312 0.51664 -0.008 0.238 0.235 -0.173
C -5.44495 -1.07759 4.89806 0.063 -0.224 -0.297 -0.180
C 2.60067 1.39321 -1.80521 1.490 0.018 1.702 -0.177
C -0.63974 -5.66854 -5.05440 0.018 0.289 0.083 -0.213
C 0.24813 2.28400 2.36399 -0.152 0.239 0.129 -0.200
C 0.86220 1.06474 3.02682 0.062 -0.266 -0.270 -0.162
C 2.97750 -1.59139 0.90829 0.599 -0.131 -0.194 -0.221
B -1.66283 3.11147 -1.32547 -0.827 0.437 1.415 -0.574
H -4.86765 -5.86480 7.28282 0.065 -0.016 -0.020 0.117
H 2.61439 9.27675 1.15109 -0.059 -0.044 -0.013 0.120
=====
The third type of SC and one which has been used to treat arthritis in both animals as well as humans is the allogeneic or donor SC. These cells come from healthy donors. Advantages are that a tremendous number of SCs can be cultured. Downsides include the potential transmission of unknown genetic disorders as well as the possibility of infection.
The fourth and most commonly used type of SC in arthritis treatment are the autologous SCs or adult SCs. There are various techniques used to harvest these cells from the adult. Typically, they are obtained from bone marrow, fat, or blood, which is then concentrated to provide a maximum number of cells in the smallest possible volume.
Autologous SCs have the advantage of coming from the host – the patient. This helps avoid the consequences of rejection or graft versus host reaction which may occur with SCs that come from either embryos or donors.
These are multipotent, meaning they can be coaxed into becoming a limited number of different tissue types. This is one of the major differences between adult SCs and embryonic SCs (and induced pluripotential SCs).
Embryonic SCs and induced pluripotential SCs are pluripotent, meaning they can be converted into any type of tissue.
Misplaced calculated molecules:
┌──
# 1
{"formula": "C17H29NO", "method": "ωB97M-V/def2-TZVPD", "e_above_lowest_kcal_mol": 12.4, "homo_ev": -8.157, "smiles": "CCNCc1cc(C(C)(C)C)c(O)c(C(C)(C)C)c1", "homo_lumo_gap_ev": 8.82, "total_energy_ha": -795.169490, "species": ["C", "C", "N", "C", "C", "C", "C", "C", "C", "C", "C", "C", "O", "C", "C", "C", "C", "C", "C", "H", "H", "H", "H", "H", "H", "H", "H", "H", "H", "H", "H", "H", "H", "H", "H", "H", "H", "H", "H", "H", "H", "H", "H", "H", "H", "H", "H", "H"], "coordinates": [[-4.7540, 1.4771, -0.8475], [-3.3006, 1.8713, -0.6236], [-2.5903, 1.8840, -1.8894], [-1.1848, 2.2516, -1.7803], [-0.3524, 1.2469, -1.0205], [-0.0202, 1.4499, 0.3060], [0.6958, 0.5103, 1.0382], [1.0405, 0.7763, 2.5081], [2.5666, 0.8926, 2.6894], [0.4616, 2.1084, 3.0091], [0.4303, -0.3068, 3.4193], [1.0881, -0.6665, 0.3810], [1.8242, -1.6281, 1.0174], [0.7470, -0.9103, -0.9619], [1.1663, -2.2026, -1.6556], [0.6758, -2.2753, -3.1063], [2.6981, -2.2970, -1.6818], [0.5722, -3.4052, -0.9093], [0.0253, 0.0620, -1.6326], [-5.3153, 1.5584, 0.0795], [-5.2026, 2.1292, -1.5917], [-4.8192, 0.4508, -1.2035], [-2.8421, 1.1899, 0.1151], [-3.2527, 2.8867, -0.2163], [-2.6617, 0.9666, -2.3220], [-1.1386, 3.2295, -1.2928], [-0.8024, 2.3564, -2.8004], [-0.3305, 2.3744, 0.7618], [2.7959, 1.1402, 3.7244], [2.9409, 1.6950, 2.0559], [3.1249, -0.0055, 2.4361], [0.8885, 2.9533, 2.4745], [-0.6212, 2.1319, 2.9124], [0.7037, 2.2254, 4.0642], [0.7721, -0.1628, 4.4430], [0.6631, -1.3279, 3.1303], [-0.6539, -0.2130, 3.4067], [2.0346, -1.3314, 1.9082], [-0.4103, -2.2392, -3.1597], [1.0924, -1.4707, -3.7075], [0.9991, -3.2185, -3.5424], [3.1171, -1.4337, -2.1950], [3.0060, -3.1974, -2.2098], [3.1020, -2.3341, -0.6762], [0.8348, -4.3277, -1.4229], [0.9510, -3.4580, 0.1054], [-0.5125, -3.3256, -0.8730], [-0.2526, -0.0810, -2.6638]]}

=====

# 2
└──
Nonetheless, the multipotent property of autologous (also known as “mesenchymal” SCs) is sufficient for them to be used to treat disorders involving connective tissue, such as blood, tendon, ligament, cartilage, bone, nerve, muscle, and liver.
These cells are programmed to zero in on areas of tissue injury to help with repair. While it is still not clear what the homing mechanism is, it is suspected that different types of chemical messengers are involved in “calling” mesenchymal SCs. These cells are capable of contributing to both repair as well as regeneration.
One danger is that some techniques using adult SCs involve the use of cell culture ex vivo, meaning outside the body. The possibility of contamination and infection is a concern. Also, when cultured for a lengthy period of time, these SCs may become unstable and the possibility of malignancy developing arises.
Finally, a major weakness of adult SCs is that they are restricted in their capacity to replicate and differentiate. In other words, they go through an aging process and have a limited life span. This is unlike embryonic SCs which have the capacity to multiply and divide forever.
Nathan Wei, MD FACP FACR is a board-certified rheumatologist and nationally known arthritis authority and expert. For more info: Arthritis Treatment and Arthritis Treatment Center
Nathan Wei, MD FACP FACR is a board-certified rheumatologist and nationally known arthritis authority and expert. For more info: Arthritis Treatment and
Author Bio: Nathan Wei, MD FACP FACR is a board-certified rheumatologist and nationally known arthritis authority and expert. For more info: Arthritis Treatment and Arthritis Treatment Center
Category: Medicines and Remedies
Keywords: stem cells, arthritis treatment, embryonic stem cells, autologous stem cells, arthritis